Parenting in the Digital Age: How To Teach Our Kids Healthy Tech Habits

Why it’s so important for parents to model responsible digital behavior
Parenting in the digital age means spending a good deal of time battling with our kids over screen use. We set time limits, vet apps, monitor locations, try to enforce screen-free zones, and generally stress out over how much time our children devote to their beloved devices.
And yet, while we expend so much energy trying to ensure that our children have a healthy online/offline balance, most of us don’t apply that same vigor to monitoring our own time online. As it turns out, our children notice this paradox, and eventually – no matter how much we preach – our actions speak louder than our words.
Like everything else in parenting, our kids pick up on our behaviors and ultimately end up mimicking many of them. So taking time to think about the habits we model around our phone and computer use is worthwhile.
Here are 5 ways in which parents can modify their own practices to help their kids develop healthy tech habits for themselves:
Focus on the people we’re with
One of the most troubling side effects of mobile technology is how it affects our ability to be present and focused on the people who are sitting right in front of us. We are all guilty of picking up the phone in response to a text or notification even when we are in the middle of a real-life hangout. This is particularly problematic when it comes to our kids.
No kid wants to feel like they are competing with a phone for our attention and yet when we keep our phones on us at all times, we end up picking them up more frequently – even in the middle of spending quality time with our family.
A great fix for this – have a location in your house where you can store your phone (a basket, charging dock, drawer) when you’re not using it. Anytime you’re engaging with the kids through play or conversation, put the phone away and turn down the volume so you can be fully present with your child. In this way, you are modeling respectful and healthy social interactions.
In a world in which we are constantly being bombarded by external stimuli and pulled in different directions by our technology, the family meal can become a refuge.
_Misplaced data records_
+++
(1)
{
  "formula": "C3H8FNO",
  "method": "ωB97M-V/def2-TZVPD",
  "symbols": ["F", "O", "N", "C", "C", "C", "H", "H", "H", "H", "H", "H", "H", "H"],
  "xyz": [[-0.348, 0.157, 1.722], [-1.115, -0.803, -0.639], [0.635, 0.560, 0.801], [-0.118, 0.070, -0.838], [-0.741, -2.165, -0.570], [0.799, 1.979, 0.905], [-0.510, 1.019, -1.195], [-1.625, -2.710, -0.250], [0.773, -0.284, -1.342], [1.373, 2.311, 0.042], [1.382, 2.168, 1.810], [-0.427, -2.517, -1.559], [-0.144, 2.532, 0.966], [0.067, -2.316, 0.148]],
  "forces_ev_per_a": [[-0.279, 0.328, 0.176], [-0.085, 0.207, -0.145], [-0.432, -2.008, -3.178], [0.908, 1.559, 3.028], [0.168, -0.250, 0.031], [-0.332, 0.138, 0.467], [0.023, -0.025, -0.103], [0.068, -0.026, -0.018], [0.059, -0.160, -0.104], [0.050, -0.031, -0.077], [-0.025, 0.219, -0.073], [-0.012, -0.016, 0.083], [-0.065, 0.044, -0.116], [-0.046, 0.021, 0.028]]
}

=====

(2)
{
  "formula": "C4H8N3O",
  "method": "ωB97M-V/def2-TZVPD",
  "charge": 1,
  "symbols": ["O", "N", "N", "N", "C", "C", "C", "C", "H", "H", "H", "H", "H", "H", "H", "H"],
  "xyz": [[-0.132, 2.141, 0.070], [-0.884, 0.984, 0.320], [-2.390, -0.700, -0.020], [1.872, 0.245, -0.237], [-2.093, 0.611, 0.033], [-1.349, -1.552, -0.047], [-0.144, -1.058, -0.126], [1.168, -0.908, 0.371], [-2.880, 1.321, -0.039], [1.880, -1.858, 0.156], [1.170, 0.953, 0.000], [-0.286, 2.561, -0.805], [1.908, 0.253, -1.273], [-1.676, -2.512, -0.035], [1.080, -0.802, 1.452], [2.755, 0.321, 0.178]],
  "forces_ev_per_a": [[-0.865, 0.536, -0.079], [3.175, -3.231, -0.662], [-1.245, 2.127, 0.292], [-2.240, -0.315, -1.064], [-0.711, -1.169, -0.090], [-0.454, 2.286, -0.161], [-0.073, 2.867, -0.329], [2.622, -4.032, 0.161], [-0.749, 0.534, -0.367], [-1.922, 1.735, 0.561], [0.604, 1.489, 0.124], [-0.566, -0.469, 0.369], [0.161, -0.494, 0.635], [-0.244, -3.103, -0.076], [0.759, 0.450, 0.023], [1.745, 0.790, 0.663]]
}

=====

(3)
{
  "formula": "C5H12N2O",
  "method": "ωB97M-V/def2-TZVPD",
  "symbols": ["O", "N", "N", "C", "C", "C", "C", "C", "H", "H", "H", "H", "H", "H", "H", "H", "H", "H", "H", "H"],
  "xyz": [[1.237, 0.252, -1.902], [0.758, 2.703, 0.519], [-2.355, -2.005, 0.310], [0.490, 2.278, -0.871], [-0.125, -1.024, 0.520], [-0.848, -2.217, -0.008], [0.742, -1.108, 1.518], [1.558, 1.251, -1.267], [-0.575, -3.091, 0.564], [0.650, 3.132, -1.545], [2.613, 1.377, -0.895], [-0.320, -0.097, -0.068], [0.950, -2.132, 1.898], [1.366, -0.326, 1.964], [-0.566, 1.889, -1.021], [-0.639, -2.364, -1.113], [0.099, 3.486, 0.599], [-2.761, -2.793, -0.194], [-2.715, -1.212, -0.208], [0.440, 2.001, 1.201]],
+++
Make screen-free meals a rule
Many studies show the detrimental effect of eating in front of a screen. When we eat in front of a device (tv, phone, tablet, computer), we eat less mindfully, leading to overeating and a lack of enjoyment around food. But when it comes to leading by example, the family meal is the one to focus on.
Family meals have always been a time for everyone to come together from their disparate activities to pause, commune, and connect. In a world in which we are constantly being bombarded by external stimuli and pulled in different directions by our technology, the family meal can become a refuge.
Making screen-free family meals a priority shows our children that meals with family or friends are a place where they can take a break from the rest of the world and connect with the people in their immediate environment – a habit that will serve their mental and physical health as they grow.
Keep the phones outside the bedroom at night
Data records from another source follow =
=====
The molecule C5H10N4O in a non-equilibrium geometry, computed with ωB97M-V/def2-TZVPD.

Structure (XYZ):
```
20
Properties=species:S:1:pos:R:3:forces:R:3:mulliken_charge:R:1
C 1.155516 0.508727 -0.243014 -0.78 0.11 1.16 0.24
C 2.420102 0.391746 0.136750 -2.27 -0.40 -0.28 0.75
C 0.543267 1.729997 -0.806203 -2.48 -0.58 -0.20 -1.54
C -1.751748 -0.597610 -1.104386 3.84 0.20 0.84 -0.76
C -1.743362 -0.802986 1.386998 -0.44 1.11 -0.80 -0.97
N 0.706674 -1.641512 0.530578 0.75 -0.32 0.39 -0.30
N 3.578935 0.594296 0.145551 2.47 -0.04 -1.71 -0.50
N 0.260506 -0.495934 0.147058 0.24 -0.70 -0.06 0.70
N -1.089218 -0.259795 0.216026 -1.26 -0.29 -1.08 -0.26
O 1.959034 -1.649170 0.563953 -0.65 -0.11 -0.02 -0.53
H -0.475193 1.952133 -0.303695 1.64 -0.43 -0.84 0.29
H 0.357021 1.495419 -1.880891 0.10 0.88 0.53 0.27
H 1.144038 2.577738 -0.651576 0.93 1.04 -0.21 0.41
H -1.040303 0.012869 -1.755835 -1.72 -1.26 -0.08 0.22
H -1.775881 -1.687046 -1.314640 0.34 0.54 -0.02 0.27
H -2.721130 -0.239935 -1.052663 -1.85 0.97 -0.22 0.36
H -2.763587 -0.419453 1.336622 -0.05 -0.45 0.17 0.33
H -1.643904 -1.835803 1.507555 -0.46 -1.98 -0.38 0.34
H -1.298913 -0.456827 2.271016 0.74 1.14 1.21 0.40
H 4.178145 0.823155 0.870797 0.92 0.56 1.62 0.27
```
Positions in Å, forces in eV/Å.

Structure (SMILES) ... CC(=C=N)N(N=O)N(C)C
Charge ... 0
Frontier orbital gap ... 0.31737 hartree
LUMO energy ... 0.816 eV
Spin multiplicity ... 1

A structure of composition C5H10NO in a non-equilibrium geometry, computed with ωB97M-V/def2-TZVPD.

Structure (XYZ):
```
17
Properties=species:S:1:pos:R:3:forces:R:3:mulliken_charge:R:1
C 1.000984 0.238894 0.011804 1.74 2.61 -0.73 0.28
C 0.380567 0.336369 1.314006 -1.96 -0.17 0.30 -1.28
C -1.001151 0.072156 1.417699 0.70 -0.67 3.52 -0.15
C -1.663536 0.376836 2.647314 -0.80 -0.64 -1.38 -0.88
N 0.562119 -0.921591 -0.761287 2.19 -0.80 -2.84 -0.36
C 1.384050 -1.122294 -1.928502 2.56 0.90 -3.28 0.06
O 1.947705 -0.246681 -2.770287 -1.84 -4.07 4.30 -0.57
H 2.134901 0.325188 0.206635 -1.22 -0.62 -1.01 0.26
H 0.784117 1.070996 -0.736967 0.35 0.12 0.86 0.28
H 0.783288 1.024153 2.083536 0.05 -0.42 -0.78 0.22
H -1.446560 -0.758414 0.809703 0.01 1.50 -0.22 0.23
H -1.433537 0.910102 -2.640355 0.52 -0.15 0.64 0.13
H -1.198966 0.489216 3.621392 0.55 0.54 -0.34 0.24
H -2.726171 0.194919 2.755234 -0.17 -0.35 -0.17 0.22
H -0.980583 0.800259 -2.028617 -0.64 0.30 -0.67 -0.12
H 1.248584 -2.229822 -2.194269 0.56 1.35 -0.29 0.34
H 0.224188 -0.560286 -1.807038 -2.60 0.59 2.09 0.09
```
Positions in Å, forces in eV/Å.

Charge ... -1
Frontier orbital gap ... 0.17793 hartree
LUMO energy ... 3.781 eV
Spin multiplicity ... 1

The ion C5H10NO with charge +1 in a non-equilibrium geometry, computed with ωB97M-V/def2-TZVPD.

Structure (XYZ):
```
17
Properties=species:S:1:pos:R:3:forces:R:3:mulliken_charge:R:1
O 0.955687 -0.731851 1.475858 0.42 -0.09 0.59 -0.58
C 1.269975 -1.163566 0.393579 -0.21 -0.30 -0.67 0.03
C 1.558645 -0.249105 -0.768359 0.41 -0.13 0.44 -0.39
=====
While you may know that allowing your child to keep their phone or tablet in their room overnight is a ‘no no’, chances are you don’t apply the same rules for yourself. Many different studies have linked sleeping with a phone to trouble falling asleep as well as interruptions during the night. The blue light emitted from our phones disrupts the production of melatonin, a hormone that controls our sleep/wake cycles. In addition, overstimulation from content and the fear of missing important information if we don’t continually check, wreak havoc on our sleep.
Unfortunately, tweens and teens are at particular risk when it comes to phone induced sleep disruptions. Few things are more important for our children’s healthy development than sleep.
Taking our phones out of the bedroom at night is one way in which our modeling can have immediate health benefits for our kids. One way to help your kids get into a good bedtime routine with their screens is to practice a nightly ritual of putting the whole family’s phones away at the same time in the same place. And to be extra sure that no one is trying to sneak in extra phone time during the night, parents can also set up recurring Freedom sessions to block access to the internet at a certain time each night.
Let’s show our kids the value of closing the laptop or putting down the phone and reconnecting with our bodies on a regular basis.
Make time to move
Let’s face it, humans were not meant to be sitting on our bums in front of devices all day. Yet, since 1950 there has been an 83% increase in sedentary jobs, says the American Heart Association. As you can imagine this is not doing us any favors in the health department. It is crucial then, that we model the practices of standing up, moving around, stretching, taking walks, or other exercises throughout the day.
Too many hours spent staring at a screen without moving has a very real impact on our physical and emotional health and those impacts are even greater for kids’ developing bodies. So let’s show our kids the value of closing the laptop or putting down the phone and reconnecting with our bodies on a regular basis.
Stay mindful of where your attention goes
One of the biggest challenges we face in the digital age is the battle for our attention. Ads, notifications, the lure of mindless distraction all add up to hours of giving our attention away to things we just don’t care about.
Luckily there are ways to help ourselves stay mindful of these alluring diversions. Most phones come with the ability to set time limits on apps and offer up a “screentime” report so that we can see where our focus is going. For kids whose frontal lobe is not fully developed, it is especially difficult to stay on task. A few ways we can model best practices here are by:
- Using distraction blocking apps like Freedom and browser extensions like Pause, Limit, Insight, and Focus, which give users greater control over time management and insight into their habits.
- Turning off notifications for non-essential apps like news, social media, and shopping apps
- Mindfully creating time limits for our biggest time-waster apps – eg. 30 minutes of social media per day instead of endless hours of mindless scrolling
No child wants to feel like they are competing with a phone for our attention.
The goal is to show kids the importance of taking back control of our attention – after all, it is one of our most precious commodities.
Never forget our children are watching us. We are our kids’ first (and most important) role models. The great news is that by modeling the healthy behavior we’d like them to adopt, we better our own relationship to technology – win-win!
Hear Julia Storm on the Freedom Matters Podcast:
Freedom can help your family use tech more mindfully.
Read our Freedom for Families Set-Up Guide to get started!
Julia Storm is a Los Angeles-based Digital Media Wellness Educator, writer, speaker, and founder of ReConnect, where she provides parents with a whole family approach to preparing kids for life in the Digital Age.